Male God Please Lie Down

1.
Density functional theory data (ωB97M-V/def2-TZVPD) for a cluster of 2 separate species, C2H3P3 in total at a distorted geometry.

Output
- Gap between HOMO and LUMO: 8.0 eV
- HOMO energy: -8.61 eV
- Spin multiplicity: 1
- Relative energy (zero: lowest compared OMol25 entry of this formula, charge and spin): 60.64 kcal/mol
- F_max: 3.55 eV Å⁻¹
- Charge: 0

Atoms and positions in Å:
P (-3.89007, 0.74582, -0.43653)
P (-4.54117, -0.92651, 0.26542)
P (-1.05256, 1.69124, 0.34765)
C (-0.89013, 0.00533, 0.45916)
C (0.27951, 0.56044, -0.25036)
H (-1.42397, -0.87787, 0.70129)
H (1.19953, 0.56956, 0.15965)
H (0.40636, 0.33747, -1.27152)


2.
Density functional theory data (ωB97M-V/def2-TZVPD) for a structure of composition C2H3Sr at a distorted geometry.

Output
- Gap between HOMO and LUMO: 7.9 eV
- HOMO energy: -12.65 eV
- Spin multiplicity: 1
- F_max: 1.20 eV Å⁻¹
- Charge: +1

Atoms and positions in Å:
Sr (-0.53922, 0.69361, 1.24408)
C (1.30776, -0.77045, -0.35494)
C (0.54095, -0.34165, -1.19293)
H (-0.00817, 0.16298, -1.97682)
H (2.11953, -1.03217, 0.31055)
H (-2.37171, 0.84867, 0.68197)

----------

Record 1
A molecular structure, C37H37Cl3FeO2P2 at a distorted geometry, computed with ωB97M-V/def2-TZVPD.

Results
- relative energy (zero: lowest compared OMol25 entry of this formula, charge and spin) (kJ/mol) = 0.0
- electronic energy (eV) = -133593.071
- LUMO energy (alpha / beta) (eV) = 0.0 / -1.3
- Kohn-Sham gap (alpha / beta) (eV) = 7.8 / 6.8
- maximum force (hartree/bohr) = 0.0556
- 2S+1 = 5

```
82
Properties=species:S:1:pos:R:3:lowdin_charge:R:1
Fe -0.07 0.20 5.76 0.749
C -2.16 -0.06 6.53 -0.128
C -2.09 -0.36 5.16 -0.159
C -2.62 0.54 4.07 -0.166
C -1.53 1.33 3.32 -0.166
C -0.43 1.76 4.25 -0.186
C -0.64 2.30 5.53 -0.165
C -1.95 2.51 6.24 -0.163
C -2.49 1.30 7.08 -0.163
C 1.89 0.24 5.25 -0.187
H -2.24 -0.88 7.25 0.137
H -1.91 -1.41 4.87 0.127
H -3.35 1.24 4.48 0.108
H -3.13 -0.10 3.33 0.117
H -1.10 0.73 2.50 0.098
H -1.99 2.21 2.83 0.128
H 0.56 1.88 3.80 0.107
H 0.19 2.85 5.98 0.128
H -2.74 2.85 5.56 0.108
H -1.78 3.32 6.96 0.120
H -2.07 1.38 8.10 0.089
H -3.58 1.41 7.20 0.131
H 2.36 -0.30 6.09 0.001
H 2.23 1.29 5.25 0.007
H 2.13 -0.25 4.29 -0.005
P 0.06 -2.38 -3.78 1.010
P 2.09 0.48 -4.04 1.004
C -0.43 -0.76 -4.43 -0.330
C 0.32 0.38 -4.40 -0.351
C -0.83 -3.55 -4.88 -0.409
C -2.00 -3.20 -5.56 -0.105
C -2.66 -4.13 -6.37 -0.084
C -2.14 -5.42 -6.51 -0.086
C -0.97 -5.78 -5.84 -0.087
C -0.30 -4.85 -5.04 -0.107
C -0.94 -2.49 -2.22 -0.360
C -0.56 -1.62 -1.18 -0.106
C -1.29 -1.59 0.01 -0.088
C -2.42 -2.41 0.16 -0.095
C -2.79 -3.28 -0.87 -0.086
C -2.04 -3.34 -2.05 -0.084
C 2.69 1.29 -5.61 -0.360
C 2.66 0.48 -6.77 -0.114
C 3.02 1.01 -8.01 -0.090
C 3.42 2.35 -8.11 -0.094
C 3.45 3.15 -6.97 -0.088
C 3.11 2.62 -5.72 -0.086
C 2.16 1.89 -2.88 -0.417
C 3.27 1.98 -2.02 -0.108
C 3.39 3.05 -1.14 -0.088
C 2.39 4.03 -1.10 -0.088
C 1.29 3.95 -1.95 -0.085
C 1.16 2.87 -2.83 -0.103
H -1.45 -0.69 -4.85 0.056
H -0.14 1.32 -4.74 0.068
H -2.43 -2.21 -5.44 0.085
-- The piece goes on --

Chapter 2990: I accidentally met you 5

Going all the way to the back, she saw a pair of gray-haired old people on the road, the two of them held hands to each other, although neither of them spoke, but from the hands they held tightly, the two inadvertently looked at each other. You can still see that they are very in love with each other.

Fall in love...

What is love, is there really love in this world?

Can she... be loved or loved?

After absorbing the plot, Huang Qingming opened his eyes.

This plot is not the most miserable she has ever seen, but after absorbing the plot, her heart is cool, and there are layers of bitterness.

A girl like the original owner should have been able to live well.

It is because of being a bridesmaid of some sort of mischief, that she has made herself like this.

Huang Qingming lay there and began to practice the inner strength mental method, this mental method, when he was just mobilized.

Inside the body, it was like a sudden lightness.

Fortunately, this body can still be cultivated.

Because it’s on the second floor, it’s not easy to sit and practice. It’s okay to lie down like this now.

On the road, after cultivating like this, after getting off the car, there are still three or four days before getting married at their house. You can also cultivate during this period.

Originally, if this body couldn't cultivate the mind, she got off the car first when she arrived at that station, and then went back to the imperial capital, where she would take care of this **** woman in a good life.

Since she can practice now, let her have an unforgettable wedding.

After all, everyone knew each other and congratulated her on her newly married, right?

Huang Qingming thought, a smile was raised at the corner of his mouth, and he continued to practice.

By daybreak, the noise in the ears became louder.

"Qingming, do you want to have breakfast?"

Qian Xiaole reached out and pushed her.

"Eat, you go buy it!"

Huang Qingming opened his eyes and looked at her.

Qian Xiaole hesitated a little, and Huang Qingming couldn't help laughing when he saw her like this.

"Qian Xiaole, you won't! You want me to give your bridesmaid. I asked for leave for this. My bonus is gone. You said I have no money. I bought more than 500 tickets by myself. I won't buy a breakfast. You don’t even have money! Since their family is so poor, why are you still marrying?

Listening to Huang Qingming's words, Qian Xiaole's face blushed.

She didn't want to buy breakfast for her, or even thought she gave her own meal money, that's good.

Who knows, she yelled without shame.

Is it too much?

These people around are all looking at themselves.

Qian Xiaole was angrily at the moment, and stared at Huang Qingming again.

Although she didn't know the people in the car, it was really uncomfortable to be looked at with this kind of eyes here.

"Just buy some!"

After Huang Qingming finished speaking, he closed his eyes again and continued to practice.

Seeing her like this, Qian Xiaole was furious.

This person is still from the city, and it is a lie to say that he is a good friend.

I originally felt that I was a little sorry to let her be a bridesmaid, but now it seems to deserve it.

Qian Xiaole bought two porridge and two steamed buns and came over.

"Qing Ming, I've eaten!"

Qian Xiaole sat on the lower bunk bed and called Huang Qingming.

Huang Qingming got down from above, sat down, and took it.